The level of support for evolution among scientists, the general public, and other organizations is a recurring topic in the creation-evolution debate, and it impacts on educational, theological, philosophical, scientific, and political problems. The matter is especially problematic in countries where the general population rejects evolution, despite the fact that evolution is taught in public schools and universities.
According to a recent study based on a series of national public opinion surveys taken over the last 35 years, the level of public acceptance of evolution in the United States is now comfortably above the halfway point.
“From 1985 to 2010, there was a statistical dead heat between acceptance and rejection of evolution,” stated lead researcher Jon D. Miller of the University of Michigan’s Institute for Social Research. “However, acceptance then skyrocketed, eventually reaching the majority stance in 2016.”
The study examined data for 35 years and consistently identified characteristics of education as the main predictors leading to acceptance of evolution: civic science literacy, completing college scientific courses, and obtaining a college degree.
Almost twice as many Americans possessed a college degree in 2018 as in 1988. It’s difficult to get a college degree without developing at least a passing admiration for science’s success. However, acceptance then skyrocketed, eventually reaching the majority stance in 2016.
Mark Ackerman
“Almost twice as many Americans possessed a college degree in 2018 as in 1988,” said co-author Mark Ackerman, a researcher at Michigan Engineering, the University of Michigan School of Information, and the University of Michigan School of Medicine. “It’s difficult to get a college degree without developing at least a passing admiration for science’s success.”
The vast majority of scientists and academics believe that evolutionary theory is the only explanation that can adequately account for observations in biology, paleontology, molecular biology, genetics, anthropology, and other sciences. According to a 1991 Gallup poll, approximately 5% of American scientists (including those with training in fields other than biology) are classified as creationists.
-- Between two parts of the piece: data records --
<<<
Material: UP2Ru
Method: DFT, GGA-PBE
State: relaxed

Calculated values
- E_form (eV/atom) = -0.80
- DOS at the Fermi energy (states/eV/cell) = 6.0
- energy (eV per cell) = -34.6

Lattice parameters (Å, degrees): 3.8453 3.8453 5.7233 70.37 70.37 60.00
Element x y z (fractional)
1 P 0.2312 0.2312 0.3063
2 P 0.7688 0.7688 0.6937
3 Ru 0.5000 0.5000 0.5000
4 U 0.0000 0.0000 0.0000
>>>
Furthermore, intelligent design, a neo-creationist branch, is regarded as unscientific, pseudoscience, or trash science by the scientific world. The National Academy of Sciences of the United States has said that intelligent design “and other claims of supernatural intervention in the beginning of life” are not science because they cannot be tested by experiment, do not create predictions, and do not suggest new hypotheses. In September 2005, 38 Nobel laureates signed a statement declaring, “Intelligent design is inherently unscientific; it cannot be verified as a scientific theory because its central conclusion is predicated on believing in supernatural intervention.”

The researchers examined a collection of biannual surveys from the Nationwide Science Board, six national surveys financed by National Science Foundation departments, and a NASA-funded series on adult civic literacy. Beginning in 1985, these nationwide samples of U.S. adults were questioned if they agreed or disagreed with the following statement: “Human beings as we know them today evolved from previous kinds of animals.”
From 1985 to 2007, a series of polls revealed that Americans were evenly divided on the issue of evolution. Only Turkey, at 27 percent, fared lower than the United States in a 2005 assessment of acceptance of evolution among 34 affluent nations led by Miller. However, between 2004 to 2019, the percentage of American adults who agreed with this statement climbed from 40% to 54%.
Religious fundamentalism was consistently identified as the most powerful factor leading to the rejection of evolution in the current study. While their numbers have decreased significantly in the recent decade, the survey defines religious fundamentalists as around 30% of Americans. Even those who scored the highest on the religious fundamentalism scale went toward acceptance of evolution, climbing from 8% in 1988 to 32% in 2019.
Miller forecasted that religious extremism will continue to stymie public acceptance of evolution. “Such ideas are not only persistent, but they are also more politicized,” he said, citing a growing divide between Republican and Democratic acceptance of evolution. In 2019, 34% of conservative Republicans embraced evolution, compared to 83% of liberal Democrats. The findings of the study have been published in the journal Public Understanding of Science.
There does not appear to be a significant relationship between belief in evolution and knowledge of evolutionary research. Creationist ideas (or a lack of respect for evolutionary science) are relatively widespread in several countries, even commanding a majority of public opinion. In a study published in Science, researchers evaluated attitudes toward evolution in the United States, 32 European countries, and Japan. Turkey was the only country where acceptance of evolution was lower than in the United States (25 percent). Public acceptance of evolution was highest (almost 80% of the population) in Iceland, Denmark, and Sweden.